### Wanted
What is needed: filter the entries further below: keep the lines with the word "Unit".

### Given
A relaxed KCaCrH10C6O17 crystal, computed with GGA+U.

Summary:
* total DFT energy (no corrections): -0.2357 hartree per atom
* MP2020-corrected energy: -978.31 eV/cell
* formation enthalpy at 0 K: -58.39 eV per formula unit
* spin magnetization: 3.96 μB per cell

Unit cell a=11.1819 b=11.3190 c=16.2014 alpha=90.00 beta=123.44 gamma=90.00
Last column: nearest neighbours and their distance in Å.
Space group P2_1/c (No. 14)
Asymmetric unit:
K 0.2338 0.2202 0.0691  6 O 2.74-3.00
Ca 0.3959 0.5941 0.8518  7 O 2.41-2.62
Cr 0.2280 0.0929 0.8230  6 O 1.99-2.03
H 0.0187 0.5959 0.1046  1 O 0.99
H 0.0614 0.5620 0.5085  1 O 0.97
H 0.0756 0.5610 0.0414  1 O 0.98
H 0.1714 0.5341 0.4800  1 O 0.99
H 0.1858 0.7063 0.0684  1 O 0.98
H 0.2730 0.7149 0.0174  1 O 0.99
H 0.2887 0.0353 0.5024  1 O 0.99
H 0.3335 0.5275 0.0994  1 O 0.99
H 0.3692 0.6692 0.6623  1 O 0.98
H 0.4883 0.5691 0.7021  1 O 0.98
C 0.0479 0.6330 0.7199  2 O 1.24-1.30
C 0.0668 0.5479 0.8017  2 O 1.25-1.29
C 0.3009 0.6380 0.3937  2 O 1.24-1.30
C 0.3024 0.1852 0.2910  2 O 1.24-1.30
C 0.3822 0.6127 0.3428  2 O 1.24-1.30
C 0.3875 0.2014 0.4045  2 O 1.25-1.29
O 0.0178 0.6219 0.0461  2 H 0.98-0.99
O 0.0506 0.0168 0.7064  1 C 1.29
O 0.0826 0.1680 0.8417  1 C 1.30
O 0.1392 0.5089 0.5230  2 H 0.97-0.99
O 0.1533 0.6614 0.7179  1 C 1.24
O 0.1895 0.5151 0.8682  1 C 1.25
O 0.2261 0.2241 0.7404  1 C 1.30
O 0.2454 0.5453 0.4071  1 C 1.30
O 0.2808 0.6941 0.0797  2 H 0.98-0.99
O 0.2956 0.7400 0.4194  1 C 1.24
O 0.3101 0.0919 0.2543  1 C 1.24
O 0.3410 0.0499 0.5743  2 H 0.99
O 0.3668 0.5057 0.3094  1 C 1.30
O 0.3764 0.1950 0.9331  1 C 1.29
O 0.4296 0.6154 0.7181  2 H 0.98
O 0.4568 0.6910 0.3395  1 C 1.24
O 0.4580 0.1169 0.4593  1 C 1.25

### Worked solution
Unit cell a=11.1819 b=11.3190 c=16.2014 alpha=90.00 beta=123.44 gamma=90.00